Material:
<<<
(1)
Below is 2 unconnected molecules or ions with the total composition C9H7BrClNOS at a distorted geometry, with properties calculated with ωB97M-V/def2-TZVPD.

Properties
Multiplicity = 1
Energy relative to the best compared isomer or geometry (same formula, charge and spin) = 0.0200 eV
Charge = 0
SMILES = OSc1ccccc1Cl.C=C(Br)C#N
Max |F| = 4.1 eV/Å
Total energy = -3909.44536 a.u.
Molar mass = 292.58 g mol⁻¹

XYZ file:
```
21
Properties=species:S:1:pos:R:3:forces:R:3
O 2.45538 -0.91412 -2.62498 -1.0 1.3 0.6
S 3.02926 -0.14926 -1.26833 1.6 0.7 -1.4
C 1.83143 -0.21825 -0.07850 -0.2 0.8 2.0
C 0.64498 -0.94623 -0.09971 -0.2 -0.3 -1.0
C -0.12785 -0.94376 1.04853 0.5 -0.2 -0.7
C 0.13641 -0.16412 2.13546 -2.4 1.1 1.9
C 1.22920 0.64918 2.15147 3.5 1.7 1.2
C 2.16348 0.55725 1.09993 -1.1 -0.5 -0.4
Cl 3.68788 1.46226 1.17934 -1.0 -0.5 -0.1
H 2.89306 -1.73878 -2.60557 0.6 -1.7 -0.2
H 0.27033 -1.45676 -1.04710 0.9 0.5 1.5
H -0.93151 -1.60153 1.12091 -1.6 -0.8 -0.2
H -0.69632 0.00090 2.91459 1.7 -0.7 -1.0
H 1.58521 1.32487 3.05766 -1.2 -1.5 -2.0
C -1.73858 1.07606 -1.19008 -0.1 2.3 0.2
C -1.41990 1.99313 -0.28978 1.3 0.0 -1.0
Br 0.11817 3.12190 -0.48249 -0.3 -0.3 -0.1
C -2.10470 2.22763 0.88753 0.0 -0.2 0.6
N -2.58314 2.37407 1.90884 -0.9 0.3 1.4
H -2.70363 0.65444 -1.13868 -0.7 -1.0 0.1
H -1.25908 1.28588 -2.10316 0.7 -1.0 -1.3
```
Forces are in eV/Å.

---

(2)
Below is a molecular structure, C9H7Cl2LuNO3Rh at a distorted geometry, with properties calculated with ωB97M-V/def2-TZVPD.

Properties
Multiplicity = 5
Charge = +4
Max |F| = 10.0 eV/Å
Total energy = -2892.18784 a.u.
Molar mass = 525.94 g mol⁻¹

XYZ file:
```
24
Properties=species:S:1:pos:R:3:forces:R:3
Rh -0.50098 -0.37303 -3.51121 -3.2 -2.5 -0.3
Lu 0.48449 1.31170 -1.89917 0.8 3.6 2.8
Cl -1.92246 1.70077 -1.94531 0.2 -0.4 -0.4
Cl 2.43558 -0.00858 -2.52405 -0.1 -0.5 -0.4
C -0.55990 -1.26692 -1.80520 -2.0 -4.1 7.3
C -0.43724 1.16404 -4.66639 0.0 6.8 -5.0
C 0.69970 -1.25842 -4.64638 5.7 -4.0 -7.1
O -0.81940 -1.90895 -0.86418 1.5 3.0 -4.8
O -0.42210 2.04302 -5.41798 -0.1 -3.9 3.1
O 1.41316 -1.65225 -5.46891 -3.2 1.7 3.9
N 0.38719 2.66188 0.04779 -0.1 -0.2 0.9
C 0.27962 1.97881 1.34160 0.6 0.0 -1.0
C -0.98304 1.78030 1.91255 -1.4 -0.4 1.4
C -1.05346 1.19901 3.18583 -1.5 1.0 -1.6
C 0.12029 0.78937 3.82568 -0.7 -0.3 1.0
C 1.36151 0.90155 3.18389 2.0 0.5 -2.0
C 1.44469 1.47766 1.90623 0.8 -0.6 0.9
H -0.42847 3.28001 -0.08366 0.3 0.0 0.1
H 1.22437 3.24882 0.09513 0.0 0.3 0.0
H -1.87159 2.10292 1.34380 0.3 -0.1 0.7
H -2.01776 1.07379 3.69366 0.4 0.1 -0.3
H 0.06212 0.34266 4.81435 0.0 0.0 0.0
H 2.25964 0.52308 3.66420 0.0 0.1 0.0
H 2.38836 1.55626 1.33944 -0.3 0.0 0.7
```
Forces are in eV/Å.

---

(3)
Below is a molecular structure, C9H7ClN4 at a distorted geometry, with properties calculated with ωB97M-V/def2-TZVPD.

Properties
Multiplicity = 1
Energy relative to the best compared isomer or geometry (same formula, charge and spin) = 0.0000 eV
Charge = 0
Max |F| = 5.0 eV/Å
Total energy = -1026.17125 a.u.
Molar mass = 206.64 g mol⁻¹

XYZ file:
```
21
Properties=species:S:1:pos:R:3:forces:R:3
C -1.22429 -1.15224 1.64369 -0.8 -0.4 -1.2
C -0.54400 -0.04337 1.52807 1.4 4.4 1.7
C 1.61223 2.18744 -0.09650 0.6 0.2 1.4
C -2.03925 -1.53782 0.46051 -0.7 0.3 1.0
C 0.00020 -0.81795 -1.78696 -0.2 0.2 -0.4
C 1.51035 0.84842 -0.14142 -3.1 1.0 -0.1
C -0.93389 0.01899 -0.93359 -1.2 -0.4 -0.3
C 2.04837 -0.48320 -0.61144 -1.5 1.1 1.5
C -0.35741 0.75276 0.26359 3.6 -1.3 -1.4
N 0.32082 2.89182 0.09008 1.0 0.1 0.3
N -2.01249 -0.90067 -0.62404 -0.3 -1.3 -0.7
N 1.22416 -1.06201 -1.68289 1.4 -0.1 0.5
N -0.61017 2.15158 0.33067 -1.8 -0.6 0.0
Cl 1.93032 -1.43881 0.96490 0.7 -0.5 -0.8
H -1.30076 -1.63488 2.58047 -0.2 -0.6 0.7
H -0.14258 0.62558 2.41400 -0.6 -2.1 -1.4
H 2.34925 2.98926 0.22668 -0.1 -1.7 -1.4
H -2.91682 -2.19834 0.56680 0.7 0.0 0.2
H -0.49207 -1.26302 -2.66857 0.0 0.1 0.6
H -1.51186 0.57441 -1.66411 0.7 1.4 -0.1
H 3.08990 -0.50797 -0.85994 0.3 0.0 -0.3
```
Forces are in eV/Å.

---

(4)
>>>

Job:
Count the lines further up that contain the word "Lu" and give the number alone.

Here it is:
1